-- Excerpt --
/*
[1]
A plane-wave DFT calculation with PBE was carried out for crystalline Na3CdSn at its relaxed geometry.

energy of formation	-0.124	eV/atom
density	3.8	g/cm3
energy above the lowest structure with this stoichiometry	0.000	eV/f.u.

```
Na3CdSn
1.0
5.256 0.000 0.000
0.000 6.126 1.356
0.000 0.160 8.287
Cd Na Sn
2 6 2
Direct
0.624 0.416 0.372 Cd
0.124 0.682 0.275 Cd
0.625 0.985 0.171 Na
0.125 0.113 0.476 Na
0.125 0.297 0.075 Na
0.625 0.802 0.573 Na
0.624 0.597 0.978 Na
0.124 0.502 0.669 Na
0.123 0.902 0.882 Sn
0.623 0.197 0.765 Sn
```


[2]
A plane-wave DFT calculation with PBE was carried out for crystalline LaTl3Cl6 at its relaxed geometry.

ΔE_f (raw)	-1.58	eV/atom
density	4.5	g/cm3

```
LaTl3Cl6
1.0
-7.339 -1.816 -1.312
1.417 -7.707 2.742
-3.086 3.070 10.225
La Cl Tl
2 12 6
Direct
0.500 0.500 0.500 La
0.000 0.000 0.000 La
0.695 0.169 0.954 Cl
0.667 0.223 0.583 Cl
0.634 0.433 0.267 Cl
0.366 0.567 0.733 Cl
0.866 0.933 0.233 Cl
0.333 0.777 0.417 Cl
0.833 0.723 0.917 Cl
0.195 0.331 0.454 Cl
0.134 0.067 0.767 Cl
0.167 0.277 0.083 Cl
0.305 0.831 0.046 Cl
0.805 0.669 0.546 Cl
0.523 0.934 0.767 Tl
0.023 0.566 0.267 Tl
0.477 0.066 0.233 Tl
0.000 0.000 0.500 Tl
0.977 0.434 0.733 Tl
0.500 0.500 0.000 Tl
```


[3]
A plane-wave DFT calculation with PBE was carried out for crystalline Na3ZrZn2O6 at its relaxed geometry.

ΔE_f (raw)	-1.83	eV/atom
density	4.5	g/cm3

```
Na3ZrZn2O6
1.0
-1.317 2.639 4.608
-1.309 -5.272 -0.656
5.672 -0.623 0.945
O Na Zn Zr
6 3 2 1
Direct
0.743 0.743 0.214 O
0.402 0.074 0.208 O
0.926 0.598 0.792 O
0.257 0.257 0.786 O
0.074 0.402 0.208 O
0.598 0.926 0.792 O
0.175 0.825 0.500 Na
0.500 0.500 0.500 Na
0.825 0.175 0.500 Na
0.666 0.334 0.000 Zn
0.334 0.666 0.000 Zn
0.000 0.000 0.000 Zr
```


[4]
A plane-wave DFT calculation with PBE was carried out for crystalline CuOsBr2 at its relaxed geometry.

ΔE_f (raw)	0.97	eV/atom
density	9.1	g/cm3
energy above the lowest structure with this stoichiometry	2.189	eV/f.u.

```
CuOsBr2
1.0
3.340 -0.006 0.000
-1.891 2.753 0.000
0.000 0.000 8.250
Br Os Cu
2 1 1
Direct
0.000 0.000 0.500 Br
0.000 0.000 0.000 Br
0.500 0.500 0.750 Os
0.500 0.500 0.250 Cu
```


[5]
A plane-wave DFT calculation with PBE was carried out for crystalline CrInTc2N at its relaxed geometry.

ΔE_f (raw)	-0.03	eV/atom
density	9.2	g/cm3

```
CrInTc2N
1.0
-3.819 -1.612 0.250
1.541 -3.774 -0.793
0.510 -0.607 3.882
Tc Cr N In
2 1 1 1
Direct
0.000 0.500 0.000 Tc
0.500 0.000 0.000 Tc
0.000 0.000 0.500 Cr
0.000 0.000 0.000 N
0.500 0.500 0.500 In
```


[6]
A plane-wave DFT calculation with PBE was carried out for crystalline PmPAu at its relaxed geometry.

energy of formation	-0.951	eV/atom
density	9.7	g/cm3
energy above the lowest structure with this stoichiometry	0.030	eV/f.u.

```
PmPAu
1.0
4.085 0.000 0.000
0.000 4.248 0.000
0.000 -2.124 3.679
Au P Pm
1 1 1
Direct
0.834 0.667 0.333 Au
0.833 0.000 0.000 P
0.333 0.333 0.667 Pm
```


[7]
A plane-wave DFT calculation with PBE was carried out for crystalline Sc2SbBr at its relaxed geometry.

ΔE_f (raw)	-0.84	eV/atom
density	4.8	g/cm3
energy above the lowest structure with this stoichiometry	0.000	eV/f.u.

```
Sc2SbBr
1.0
4.197 -0.018 0.021
2.101 3.633 0.021
2.087 1.198 6.628
Br Sb Sc
1 1 2
Direct
0.750 0.750 0.750 Br
0.250 0.250 0.250 Sb
0.510 0.510 0.469 Sc
0.990 0.990 0.031 Sc
```


[8]
A plane-wave DFT calculation with PBE was carried out for crystalline EuGaBr3 at its relaxed geometry.

ΔE_f (raw)	-1.25	eV/atom
density	3.8	g/cm3

```
EuGaBr3
1.0
-4.238 -1.776 3.658
2.180 -5.453 -0.122
3.433 1.270 4.594
Br Eu Ga
3 1 1
Direct
0.000 0.500 0.000 Br
0.000 0.000 0.500 Br
0.500 0.000 0.000 Br
0.000 0.000 0.000 Eu
0.500 0.500 0.500 Ga
```


[9]
A plane-wave DFT calculation with PBE was carried out for crystalline Ac2TiOs2N6 at its relaxed geometry.

ΔE_f (raw)	-0.45	eV/atom
density	9.4	g/cm3

```
Ac2TiOs2N6
1.0
-2.329 -3.919 3.878
-2.619 -4.995 -2.002
3.185 -5.603 0.868
N Ti Os Ac
6 1 2 2
Direct
0.234 0.764 0.238 N
0.764 0.234 0.238 N
0.236 0.236 0.762 N
0.766 0.236 0.762 N
*/

-- Activity --
Next, work out how many lines earlier on have the word "Ti" in them; a number is enough.

-- Outcome --
1